Ch22 Non-infectious disease Flashcards
How is tumour formed?
Cell division is regulated properly by certain genes. However, when mutation occurs in these genes, cells may divide uncontrollably, this produces non-functional and abnormal cells called a tumour.
Two types of tumour
Benign and malignant
They do not destroy nearby tissues and do not spread to other parts of the body 
Develop its own blood vessel, which supply oxygen and nutrients, invade and destroy nearby tissues, spread to other part of body through the bloodstream or lymphatic system
Similarities between the two tumours
Both caused by uncontrolled mitotic cell division
Difference of the two tumour cells
Malignant tumours have their own blood supply but benign tumour do not, benign tumour is surrounded by fibrous capsule and cells of malignant tumour spread to other parts through the blood or lymph but cells in benign tumour do not
Treatment of cancers
Surgery, radiotherapy ,chemotherapy, targeted therapy and immunotherapy
Risk factors of coronary heart disease
- High blood cholesterol
Large amount of cholesterol in the blood deposits on the inner wall of coronary artery , plagues are formed. The artery becomes narrowed. Blood clot may form in the narrow lumen and block the coronary artery. - Smoking.
Nicotine constricts the arteries and blood pressure increases
Carbon monoxide lowers the oxygen carrying capacity of blood
Tumours are more common and older people, explain
Tumours are caused by accumulation of mutation
Older people have had a longer time for mutations to accumulate to a level that causes tumour.
Older people have had a longer time in contact with carcinogen.
The immune system of older people is weaker and less effective in destroying tumour cells.
What does vigourous exercise leads to?
Increase in the workload of the heart muscle cells 
How quitting smoking and adopting to a low-fat diet can improve health conditions
Quitting smoking
The carbon monoxide and cigarettes smoke reduces the oxygen carrying capacity of the blood ,hence blood oxygen is higher
Adopting a low-fat diet
It reduces the amount of fat deposited on the inner wall of the coronary artery 
Treatment of coronary heart disease
It can be used to reduce blood pressure , lower blood cholesterol levels, and preventing formation of blood clots
Balloon with metal mesh is inserted and the inflated balloon flatten the plaque. The metal mesh keeps the artery open after the balloon is removed. The blood flow is restored. 
Coronary bypass surgery 
A section of healthy blood vessel is used to attach to the narrow lumen of a coronary artery. This bypass creates a new route for blood to reach cardiac muscles. 
[These data records were left in the page by mistake]
1.
Compound: CsNi2F6
Source: Materials Project
Functional: PBE+U
Structure: optimized geometry

Structure (POSCAR):
```
CsNi2F6
1.0
3.7289 -3.7268 5.0264
4.2474 3.5335 4.7469
-1.9298 0.4078 7.0120
Ni F Cs
4 12 2
direct
0.6250 0.6250 0.6250
0.1250 0.6250 0.6250
0.6250 0.1250 0.6250
0.6250 0.6250 0.1250
0.6940 0.3060 0.3060
0.3060 0.6940 0.6940
0.5560 0.5560 0.9440
0.5560 0.9440 0.9440
0.5560 0.9440 0.5560
0.3060 0.6940 0.3060
0.9440 0.5560 0.9440
0.9440 0.5560 0.5560
0.9440 0.9440 0.5560
0.6940 0.3060 0.6940
0.6940 0.6940 0.3060
0.3060 0.3060 0.6940
0.2500 0.2500 0.2500
0.0000 0.0000 0.0000
```

* total DFT energy (no corrections): -74.5 eV/cell
* DFT formation energy: -2348 meV per atom
* symmetry: No. 227

2.
Compound: Li9Mn2Co5O16
Source: Materials Project
Functional: PBE+U
Structure: optimized geometry

Structure (POSCAR):
```
Li9Mn2Co5O16
1.0
2.5530 0.0000 -1.3184
1.9010 39.3845 0.5501
-0.0751 0.0880 2.9858
Mn O Co Li
2 16 5 9
direct
0.4982 0.1254 0.1218
0.0018 0.9994 0.0030
0.6020 0.0288 0.2328
0.8849 0.3467 0.1166
0.8979 0.0958 0.8916
0.8698 0.5991 0.3387
0.1008 0.1543 0.3558
0.3897 0.7230 0.5024
0.4019 0.9701 0.7739
0.1265 0.6550 0.9080
0.3770 0.4670 0.2210
0.1196 0.3999 0.6391
0.8672 0.8464 0.5808
0.1326 0.9025 0.1677
0.6238 0.5323 0.7799
0.3657 0.2219 0.9533
0.6330 0.2793 0.5452
0.6076 0.7782 0.9933
0.4990 0.6261 0.6241
0.4988 0.3741 0.3716
0.5003 0.8743 0.8748
0.0005 0.7502 0.7512
0.9993 0.2507 0.2493
0.2503 0.0625 0.5631
0.7440 0.1893 0.6772
0.7398 0.4388 0.9185
0.2519 0.8114 0.3152
0.2587 0.5619 0.0793
0.7549 0.9362 0.4461
0.0008 0.4998 0.5014
0.2512 0.3123 0.8147
0.7505 0.6875 0.1886
```

* total DFT energy (no corrections): -182.3 eV/cell
* DFT formation energy: -1706 meV per atom
* polymorph energy (0 for the lowest one): 0.158 eV per atom
* symmetry: No. 8

Question: Look up the DFT formation energy of the second one.
Answer: -1706 meV per atom

Question: What is the formula in the second record?
Answer: Li9Mn2Co5O16

Question: DFT formation energy of number 1 (CsNi2F6)?
Answer: -2348 meV per atom
Diabetes mellitus
It is a disease in which the body fails to regulate blood glucose levels 
Insulin-dependent diabetes (Type 1 diabetes)
Too little or no insulin because the insulin producing cells are destroyed by the immune systems
Non-insulin dependent diabetes (Type 2 diabetes)
The body cells are insensitive to insulin
Action of insulin
Stimulate the body cell to take up glucose from the blood and consume glucose for response. Stimulates liver cell and muscle cell to convert more glucose into glycogen for storage.
Action of glucagon
Stimulates liver cells and muscle cells to convert stored glycogen into glucose 
Results of the antibiotics in descending orders
The antibiotic diffuses outwards from the paper disc, the further away from the disc, the lower the concentration of the antibiotics. A larger clear zone indicates that the antibiotics is effective in inhibiting bacteria growth even at a lower concentration.